When Desperation Meets Opportunity Chapters 22 and 23 — A #NaNoWriMo 2015 Story

Chapter 22 — Maggie

“Soon baby, I’ll be seeing you soon. Okay. I’m going to give you a great big hug, and we’ll get some McDonalds okay?” Hold it together Maggie, be strong for Brayden.

Brayden pipes back, “Yay Mommy! I miss you. Love you.”

“Love you too!” and with that, he is gone again. I feel so close to him now. Then, all of a sudden, Jim bursts into the bedroom.

“We have a problem. They saw me.” He pants frantically. “On the news. They have security camera footage. I’m in it. I don’t know why I didn’t think about that!” He is freaking out now, and so am I. If he gets caught, he can’t complete his tasks and I won’t have the chance to turn him into Lance.

“What are we going to do?! Do you have a plan?” I practically scream at him, still emotional over talking to Brayden. This certainly didn’t help to calm me down.

“Do you really think I have any idea what to do? Hide in a hole? Run away? They didn’t seem to know my name yet but they will soon. My friend Jake will be over any minute now and he can help.” Jim seems confident in his friend, so at this point I have no choice but to trust that. My hope is that getting him involved doesn’t screw things up.

The tension is the room is thick. Jim is completely uncertain to our next step, which is a bit of a surprise. He always knew his decisions and stuck with them, never seeming to waver. Even if it meant abandoning a pregnant girlfriend. This moment is paused when Jim’s phone starts ringing.

“It’s him” he says and answers it. “Hello.” Nothing I hate worse than only hearing one side of a conversation. However, I’m too concerned now to leave the room. I’ll just have to wait it out.

“Why should I do this? If I’m being chased by the police and hunted down, the money is no good to me. They have my face. They will know it is me!” he shouts.

“Then what do I do when I get there?”

“Fine. I’ll be leaving soon. And how will I get the last of my money? It probably isn’t safe to have it sent to my apartment.”

“That will work.” Jim appears to end the call. “Okay Maggie, we are going to need to get on the road soon. Just as soon as Jake gets here. And one more thing — he said he would send my money to your place. I’m going to need to get away for a while.” It kills me to know what I know right now. I just want to tell Jim right now what the plan is. But I can’t. I can’t risk any changes that might stop me from getting Brayden back safely. Not until I can think of something better.

“Okay Jim. I can drive if you can navigate. This traffic is crazy. I’ve never experienced anything like it. I don’t think I ever want to come back to this city.” I don’t really have things to pack, but we both head out of the room and sit on the couch to wait for Jake. The news is still on, but it doesn’t appear what Jim did is top billing it. However, it might be as soon as they have a name. Hopefully his friend doesn’t take too long.

“Maggie, do you think that, maybe, spending some time with you up in Stetford might give us a chance to try again? I don’t deserve that, but I’m asking if you would consider it.” It hurts to lie, even though it shouldn’t to this man.

“You’ve hurt me, but we can both agree that this would be what is best for Brayden. In time, perhaps we could figure it out. We’d have a lot of work to do, but I’m willing to try.” With that, he smiles, and stands up in front of where I sit on the couch. He leans over for a hug, and I embrace him back. It feels nice to be close. It actually feels better than when I was hugging Rodger. I’m not sure how long we were locked together when we hear a knock at the door. Jim pulls away slowly, staring intently in my eyes, and into my mind. The mind that is figuring out how to betray his trust.

He opens the door to reveal another young, gangly looking guy. This must be Jake. Jim walks him over to the computer, and introduces him along the way.

“Maggie, this is Jake, and Jake, that is Maggie.”

“Hey Maggie!” Jake says, way too excitedly, giving Jim a funny look and twitching his eyebrows to insinuate that something is going on between us. If he only knew the half of it.

“Hi Jake.”

“Well, now that the pleasantries are out of the way. Jake — ” He stops himself, and double checks to make sure our cellphones are all still in the bedroom. They are. “Jake, we now know this guy’s name. It is Lance Jacobs. Do you think that will help in solving the binary?”

Jake is practically jumping. “This is huge, man! If there are any entries in there that list him, we’ll find it. That will give us something we can use. It could give us evidence of any illegal activities and potentially reveal an address. I’ll get right to work.” He begins performing some kind of surgery to Jim’s laptop at this point. Not sure how that is supposed to help, but I assume he is the computer expert.

Jim and I take turns using the bathroom. After I go, and Jim is indisposed, I walk over to Jake and whisper to him.

“Jake, I need you to trust me with something. Can you do that.” He nods, his face full of speculation of what I might say. “Give me your phone number. When the time comes, I’m going to send you an address with the make, model, and license plate of a vehicle. You will need to call the police immediately when I do this. Can you make this happen?” This might be the only play I have to get Jim back safely and Brayden.

“But, what is this about? I can’t just call the police if I don’t have any proof. Can you give me any more details?”

“No. I’m sorry. You have to trust me. For Jim’s sake. If you don’t have any proof by the time you get this message, then we both know what that means” It doesn’t look like he does, but when Jim emerges from the bathroom, ready to roll, Jake keeps his mouth quiet.

“You two have fun now, but not too much!” We wave and head out the door. I have a feeling that this may be the last time I step foot in this apartment.

Chapter 23 — Jim

I would prefer to be driving right now, but Maggie was adamant about being in control of her own car. Plus, she made a compelling case that if we get stopped by police, I probably shouldn’t be in the driver’s seat, in case they figure out my identity soon. That was the most compelling point and what led me to concede any of my concerns. That being said, helping her navigate out of downtown Chicago is quite an experience. I’ve never felt so close to getting into an accident in my life. Of course, that is something we can’t risk, which goes back to the argument about who would drive. In any case, we’re just about out of town now. Thankfully, we’ve avoided the major morning rush.

“So now that we’ve survived that ordeal, can you direct me to where I’m supposed to drive?” Maggie asks, relieved to be on the expressway, but still looking nervous. I can’t imagine she’s seen too many cars flying past her like this up in Wisconsin. In fact, since I don’t even have a car down here, it isn’t something I’d be all that comfortable with either.

“I plugged the directions in my phone. We are headed to Buffalo Grove on the way to Vernon Hills. I’ll let the phone do the talking.” It shouldn’t be more than a half hour to our first destination, and the final spot is just a touch up the road from there. I’m nervous for what I might be doing, but also relieved to be finished. The only thing hanging over my head now is the fact that soon, the police will know my name and be looking for me. Hopefully Jake has the presence of mind to not get himself in trouble while he is in my apartment.

“What is the plan Jim? I mean really, you are a wanted criminal now. What do you plan to do?” She asks a great question. I haven’t thought much about this yet. It just seems like seconds ago that I saw my shadowy figure on the news. Of course, I knew it was me. But it might take a long time for others. How much though, I have no idea.

“You raise a great point, Maggie. I suppose I can’t really claim innocence. If they can prove that is me, I’m pretty much screwed. Essentially, and maybe this is because I’ve watched too many movies, I think I’d have to leave the country.” It seems so simplistic and too much like a movie to think about leaving the country. But, the more I think about what I just said, the more I realize that might be the only way to avoid capture. “What do you think, Maggie? We can run off with Brayden, take our two million dollars, and try and forge a new life. What do you say?”

She just stares straight ahead. I can tell she’s thinking about this, but cannot tell which direction she’s leaning. “Jim, you are asking an awful lot of me, an awful lot of Brayden, and are expecting me to give you the kind of trust you destroyed four years ago.” That isn’t a great start. “But, we don’t have a lot of options. I’d be happy to run away from all of this. Nothing but horrible memories await me back in Stetford. It’d be better to run off with you than alone.” I’ll take it.

“So it is a plan. After you finish up your fifth task, we can make sure we get paid up, and take off. By the way, I noticed Mr. Man”, I will use that name since we both have our phones on us, “called you last night. Any chance you can tell me what that is about? Has he given you your fifth task yet?”

“No, just an update on Brayden since it had been a while since we had last spoken. Thankfully, he’s been good about that. I’ve been able to talk to my son almost every day. It is only one percent as good as being with Brayden, but given the circumstances, I will take it.” Fair enough. I wonder if she isn’t hiding something from me. After all, she has clearly stated that she doesn’t yet trust me. But with both of us in the same boat, I’d have to imagine she’d keep me up to date on any changes, so I’ll just assume her task is coming soon. It will be a challenge to lay low until then in this area, but perhaps it is coming soon.

We arrive upon our destination. I pop out of the car and search the nearest mailboxes. As expected, inside the mailbox for the address 730 Pekara Drive, I find a small device in the shape of a box. On the outside is a simple key ignition. On the back is some adhesive. It looks like I would simply stick this on the power box, turn the key, and run. He mentioned while I was on the phone that I’d have a little bit of time to get out of the way. The device is a small explosive, but the greater damage is caused by a micro electromagnetic pulse that will wipe out the electronics on about an acre of land. We don’t have to get too far away, but if we don’t move fast, our car will be as dead as the building.

I check my email for the address that Lance sent. It isn’t too far to the plant. Less than 15 minutes. I put in the new directions, and Maggie keeps driving.

“What is that thing?”

“Some sort of bomb. Don’t worry — it isn’t a big boom type of bomb. It will take down the electronics at the place we are headed next. Then, the business that Mr. Man was trying to take down will be, for all intents and purposes, down. Not sure what else he will ask of you.”

“We’ll see” she responds. “All I care about it that whatever he asks results in getting my son back.”

“Agreed. I’ll do whatever I can to make that happen.” I mean it too. Maybe I’ve grown up over the past four years, or maybe it is because of the situation, but I want to be there for Maggie and Brayden. I really think we could make this work.

It isn’t long, and we are arriving at the plant. This will be dicey. We park on the road, and it looks like nearly fifty yards to the building. Add on the fact that I will need to walk around the building to find the electrical box makes this even trickier. If only I could have waited until. But, the longer I wait, the better chance the police have of identifying me in that security cam footage, and then we are absolutely out of time.

“Keep the car running and in drive. This will be a fast getaway.” Maggie nods and looks around nervously.

I jump out, box in hand, and casually walk up the sidewalk to the building. This complex is pretty large, with the building itself being fairly non-descript with few windows. That is to my advantage. As I get up near the front entrance, I slowly vear to the left, and crouch, keeping myself low in case there are any windows. I creep around the left side of the building and turn the corner. There it is — the power supply box. One shot is all I get with this, so I need to make this count. I’m not sure how much time I have before this thing goes off, but I’m ready to sprint as soon as I turn the key.

I saunter up to the box, take off the protective backing on the adhesive, and place the charge right on the electrical box.

<<<
Structure and simulated powder XRD pattern of Li6TeN4 (the PBE geometry in the Materials Project; CuKα).
Kinematic intensities with the Lorentz-polarization factor, no thermal factor.

Structure:
```
data_Li6TeN4
_cell_length_a 6.826
_cell_length_b 6.826
_cell_length_c 4.943
_cell_angle_alpha 90.00
_cell_angle_beta 90.00
_cell_angle_gamma 90.00
_space_group_name_H-M_alt 'P 42/n m c'
_space_group_IT_number 137
loop_
_space_group_symop_operation_xyz
'x,y,z'
'-x,-y,-z'
'-y+1/2,x,z+1/2'
'y+1/2,-x,-z+1/2'
'-x+1/2,-y+1/2,z'
'x+1/2,y+1/2,-z'
'y,-x+1/2,z+1/2'
'-y,x+1/2,-z+1/2'
'x+1/2,-y,-z'
'-x+1/2,y,z'
'-y,-x,-z+1/2'
'y,x,z+1/2'
'-x,y+1/2,-z'
'x,-y+1/2,z'
'y+1/2,x+1/2,-z+1/2'
'-y+1/2,-x+1/2,z+1/2'
loop_
_atom_site_label
_atom_site_fract_x
_atom_site_fract_y
_atom_site_fract_z
_atom_site_occupancy
Li1 0.037 0.537 0.250 1
Li2 0.250 0.250 0.175 1
Te1 0.250 0.750 0.750 1
N1 0.001 0.750 0.549 1
```

Principal peaks in the range 2θ from 5° to 70°, sorted by position:
d = 4.827 Å, I = 62.3, hkl 1 1 0; d = 4.003 Å, I = 100.0, hkl 1 0 1; d = 3.413 Å, I = 27.2, hkl 2 0 0; d = 2.597 Å, I = 56.1, hkl 2 1 1; d = 2.200 Å, I = 17.0, hkl 1 1 2; d = 2.159 Å, I = 13.9, hkl 3 1 0; d = 2.067 Å, I = 20.9, hkl 3 0 1; d = 1.768 Å, I = 13.5, hkl 3 2 1; d = 1.727 Å, I = 19.0, hkl 2 2 2; d = 1.570 Å, I = 13.4, hkl 4 1 1


Computed X-ray powder pattern of MgMoPb2O6 for Cu Kα (λ = 1.5418 Å), from the PBE+U geometry in Alexandria.
Neutral-atom scattering factors, no anomalous dispersion.

Atomic structure:
```
MgMoPb2O6
1.0
0.000 4.030 4.030
4.030 0.000 4.030
4.030 4.030 0.000
Mg Mo Pb O
1 1 2 6
direct
0.000 0.000 0.000
0.500 0.500 0.500
0.250 0.250 0.250
0.750 0.750 0.750
0.258 0.258 0.742
0.258 0.742 0.258
0.258 0.742 0.742
0.742 0.258 0.258
0.742 0.258 0.742
0.742 0.742 0.258
```

Top 10 peaks for 2θ from 15° to 90°, in order of rising 2θ:
2θ/deg  I/Imax
22.1  281
31.4  1000
38.7  226
45.0  293
50.6  148
55.9  407
65.5  183
70.0  77
74.4  182
78.8  80


MgBeH5: computed XRD peak list (Cu Kα (weighted mean of Kα1 and Kα2)), based on a structure optimized by DFT (GGA-PBE).
Neutral-atom scattering factors, no anomalous dispersion.

Peak list (10 most intense, 2θ = 10–90°, by angle)
21.6 deg, d = 4.113 Å, intensity 100
23.9 deg, d = 3.717 Å, intensity 16
24.6 deg, d = 3.619 Å, intensity 50
26.6 deg, d = 3.351 Å, intensity 19
29.9 deg, d = 2.985 Å, intensity 32
34.0 deg, d = 2.639 Å, intensity 21
38.4 deg, d = 2.345 Å, intensity 32
44.0 deg, d = 2.058 Å, intensity 22
44.8 deg, d = 2.021 Å, intensity 17
45.2 deg, d = 2.006 Å, intensity 18

Crystal structure
Unit cell a=8.6767 b=5.2781 c=6.5641 alpha=90.00 beta=90.00 gamma=90.00
Fractional coordinates of all 28 atoms:
Mg 0.0729 0.2500 0.2480
Mg 0.4271 0.7500 0.7480
Mg 0.5729 0.2500 0.2520
Mg 0.9271 0.7500 0.7520
Be 0.1840 0.7500 0.0191
Be 0.3160 0.2500 0.5191
Be 0.6840 0.7500 0.4809
Be 0.8160 0.2500 0.9809
H 0.0000 0.0000 0.5000
H 0.0000 0.5000 0.5000
H 0.1367 0.5309 0.1199
H 0.1367 0.9691 0.1199
H 0.1418 0.7500 0.8075
>>>



Josh Gauthier
When Desperation Meets Opportunity — A #NaNoWriMo 2015 Story

Husband. Tech Coach. Gamer. Google Education Trainer & Certified Teacher. Troubleshooter. Still trying to figure this whole teaching thing out. Pun lover.